Entries >
/*
The following is a DFT calculation (ωB97M-V/def2-TZVPD) of an isolated ion of composition C3H6NO2 and charge -1 in a non-equilibrium geometry.

Properties
* energy relative to the best compared isomer or geometry (same formula, charge and spin): 1.757 eV
* SMILES: CC(=O)NC[O-]
* LUMO level: 3.970 eV
* M: 88.086 g mol⁻¹
* HOMO energy: -2.9 eV
* E: -323.15370 Eh
* total charge: -1
* largest force on an atom: 2.05 eV/Å
* spin multiplicity: 1

Atoms and positions in Å:
C: -1.39 -0.40 -1.71
C: -0.90 0.24 -0.38
O: -1.60 1.11 0.12
N: 0.29 -0.28 0.04
C: 1.27 0.10 1.15
O: 2.38 -0.57 0.93
H: -1.88 0.25 -2.44
H: -2.06 -1.18 -1.26
H: -0.67 -0.91 -2.28
H: 0.41 -1.24 -0.25
H: 1.26 1.21 1.11
H: 0.74 -0.15 2.07

~~~~~

The following is a quantum chemistry calculation of a cluster of 2 separate species, C18H18Cl2N6 in total, from the Open Molecules 2025 dataset.

XYZ file:
```
44
C18H18Cl2N6 (ωB97M-V/def2-TZVPD)
N 0.88394 3.51933 4.83618
C 1.43845 2.31196 4.42480
N 0.65315 1.33285 3.83227
C 1.15975 0.22819 3.68791
N 0.41210 -0.51243 3.14021
C 0.62462 -1.87754 2.72651
H 1.46146 -2.19252 3.23202
C 0.89975 -1.88724 1.10988
H 1.14794 -2.87681 0.75946
H 1.57044 -1.12065 0.84140
C -0.53981 -1.57727 0.59125
C -0.31985 -1.28364 -0.89076
C -1.05428 -0.17430 -1.86213
C -0.69223 -0.71694 -3.10236
N 0.41074 -1.54872 -3.06358
N 0.29874 -1.85948 -1.63654
H 0.99689 -2.43011 -1.48605
C -1.10221 0.02110 -4.30091
C -1.99881 0.84343 -4.55841
C -2.47826 1.45558 -5.58506
C -1.64506 1.08088 -6.79711
C -0.86556 0.00287 -6.59328
C -0.46332 -0.56289 -5.51522
H 0.20748 -1.25979 -5.35659
H -0.04764 -0.39282 -7.74805
Cl -2.20912 1.74228 -8.41385
H -3.14709 2.44888 -5.71934
H -2.50148 1.12780 -3.58822
H -1.98694 0.38143 -1.42115
C -1.04435 -0.03142 1.20342
H -1.90449 0.12689 0.83074
C -0.87391 -0.21123 2.71534
H -1.26083 0.66816 3.19469
H -1.73058 -0.85521 3.01828
H -0.24211 0.78123 0.98946
H -1.36336 -2.33871 0.70872
H 0.02137 -2.69121 2.82734
C 2.23480 -0.15425 4.18545
C 3.20691 0.83501 4.69575
N 2.71276 1.96125 5.06451
Cl 4.67590 0.66614 5.09774
H 2.75287 -1.16843 4.13594
H 0.09314 3.81360 4.57440
H 1.60812 4.37474 5.21495
```

Here is what natural (NBO) gives for the atomic charges, in e:
1. N -0.760
2. C 0.596
3. N -0.548
4. C 0.324
5. N -0.361
6. C -0.203
7. H 0.206
8. C -0.419
9. H 0.201
10. H 0.217
11. C -0.244
12. C 0.301
13. C -0.395
14. C 0.116
15. N -0.379
16. N -0.316
17. H 0.387
18. C -0.051
19. C -0.192
20. C -0.206
21. C -0.002
22. C -0.202
23. C -0.169
24. H 0.227
25. H 0.170
26. Cl -0.036
27. H 0.251
28. H 0.196
29. H 0.229
30. C -0.338
31. H 0.188
32. C -0.239
33. H 0.247
34. H 0.187
35. H 0.210
36. H 0.237
37. H 0.206
38. C -0.402
39. C 0.141
40. N -0.544
41. Cl 0.174
42. H 0.213
43. H 0.370
44. H 0.414



16
Properties=species:S:1:pos:R:3 method="wB97M-V/def2-TZVPD" smiles="c1cncnc1.O=BO.F"
C -2.86903 -0.75961 0.34732
C -1.53696 -0.66627 0.73137
N -0.68790 0.30565 0.45723
C -1.27784 1.34246 -0.28967
N -2.56368 1.35835 -0.71928
C -3.29651 0.30340 -0.37648
H -3.52045 -1.56522 0.84433
H -1.07774 -1.45660 1.25487
H -0.77502 2.25199 -0.43212
H -4.38999 0.47290 -0.62194
O 3.97940 -0.42396 -0.56163
B 2.97349 -0.21874 0.09149
O 2.02095 -0.01167 0.92477
H 1.11430 0.40874 0.73017
F 6.37452 -0.72481 -1.29068
H 5.53248 -0.61662 -1.08975



14
Properties=species:S:1:pos:R:3 method="wB97M-V/def2-TZVPD" relative_energy_ev=2.070 smiles=C1C[C@H]2OC[C@@H]12
C -0.14688 -0.14745 -1.24872
C -1.30516 0.49754 -0.44257
C -0.36409 0.64105 0.75241
O -0.26111 -0.57061 1.52217
C 1.01198 -0.88429 0.93310
C 0.84300 0.21307 -0.10164
H -0.24911 -1.22427 -1.42139
H 0.06245 0.34212 -2.20226
H -2.20786 -0.09259 -0.26182
H -1.59056 1.47253 -0.85056
H -0.42396 1.52919 1.38912
H 1.06721 -1.91958 0.57379
H 1.82797 -0.70250 1.64550
H 1.69712 0.84475 -0.36806



Let's list E_HOMO in order: -8.12 -11.04 -9.49 eV.
Let's list max |F| in order: 18.8 4.8 0.7 eV/A.
Let's list LUMO energy in order: 0.34 -0.27 1.18 eV.

~~~~~

(1)
{
  "formula": "C2H5N3OS",
  "method": "ωB97M-V/def2-TZVPD",
*/
Work order >
Search the entries earlier on for the word "eV" and print each line that has it.
Result >
* energy relative to the best compared isomer or geometry (same formula, charge and spin): 1.757 eV
* LUMO level: 3.970 eV
* HOMO energy: -2.9 eV
* largest force on an atom: 2.05 eV/Å
Let's list E_HOMO in order: -8.12 -11.04 -9.49 eV.
Let's list max |F| in order: 18.8 4.8 0.7 eV/A.
Let's list LUMO energy in order: 0.34 -0.27 1.18 eV.